The leading dancer is Tai Lihua ( 邰丽华 ). She is deaf and dumb. ( 聋 哑人 ). How did she give us such a great program?
Mr. Smith Mr. Green Miss. Li
An expert in facial expressions happy surprised angryscared sad proud
An expert in gestures good come here bad good luck Me?
List of our lessons Lesson1: How to show respect for your teacher? Lesson2:Some body language is similar. Lesson3:Some body language is different. Task 1: Task 2: Exercise & Acting A Simple Report Pass
Lesson1 How to show respect for your teacher by using body language?
-- Attached: crystal structures --
+++
No. 1
Simulated powder X-ray diffraction pattern of SmAlBIr2 for Cu Kα (weighted mean of Kα1 and Kα2), from a cell relaxed with GGA-PBE.
No peak broadening, texture or thermal motion is included.

Structure:
Unit cell a=6.0213 b=6.0213 c=7.3097 alpha=90.00 beta=90.00 gamma=140.51
Fractional positions:
1 Sm 0.0546 0.9454 0.7500
2 Sm 0.9454 0.0546 0.2500
3 Al 0.2262 0.7738 0.2500
4 Al 0.7738 0.2262 0.7500
5 B 0.5000 0.5000 0.0000
6 B 0.5000 0.5000 0.5000
7 Ir 0.3334 0.6666 0.5591
8 Ir 0.3334 0.6666 0.9410
9 Ir 0.6666 0.3334 0.0590
10 Ir 0.6666 0.3334 0.4410

The 10 most intense peaks (2θ from 15° to 90°), most intense first:
d/Å, Position (°2θ), I (rel.)
2.643, 33.9, 100
2.769, 32.3, 86
2.239, 40.3, 45
1.505, 61.6, 34
3.392, 26.3, 31
2.034, 44.5, 30
3.072, 29.1, 29
2.056, 44.1, 28
1.537, 60.2, 28
2.207, 40.9, 20

=====

No. 2
Simulated powder X-ray diffraction pattern of K2Al2B2O7 for Cu Kα (weighted mean of Kα1 and Kα2), from a cell relaxed with GGA-PBE.
No peak broadening, texture or thermal motion is included.

Structure:
Unit cell a=8.6566 b=8.6566 c=8.6112 alpha=90.00 beta=90.00 gamma=120.00
Fractional positions:
1 K 0.0000 0.3095 0.0000
2 K 0.0000 0.3574 0.5000
3 K 0.3095 0.0000 0.0000
4 K 0.3574 0.0000 0.5000
5 K 0.6426 0.6426 0.5000
6 K 0.6905 0.6905 0.0000
7 Al 0.0000 0.0000 0.2998
8 Al 0.0000 0.0000 0.7002
9 Al 0.3333 0.6667 0.1847
10 Al 0.3333 0.6667 0.7815
11 Al 0.6667 0.3333 0.2185
12 Al 0.6667 0.3333 0.8153
13 B 0.0011 0.6663 0.7439
14 B 0.3337 0.3348 0.7439
15 B 0.3348 0.3337 0.2561
16 B 0.6652 0.9989 0.7439
17 B 0.6663 0.0011 0.2561
18 B 0.9989 0.6652 0.2561
19 O 0.0000 0.0000 0.5000
20 O 0.0575 0.8432 0.2267
21 O 0.1167 0.6014 0.2537
22 O 0.1568 0.2142 0.2267
23 O 0.1793 0.7284 0.7109
24 O 0.2142 0.1568 0.7733
25 O 0.2716 0.4510 0.7109
26 O 0.3333 0.6667 0.9831
27 O 0.3986 0.5152 0.2537
28 O 0.4510 0.2716 0.2891
29 O 0.4848 0.8833 0.2537
30 O 0.5152 0.3986 0.7463
31 O 0.5490 0.8207 0.7109
32 O 0.6014 0.1167 0.7463
33 O 0.6667 0.3333 0.0169
34 O 0.7284 0.1793 0.2891
35 O 0.7858 0.9425 0.2267
36 O 0.8207 0.5490 0.2891
37 O 0.8432 0.0575 0.7733
38 O 0.8833 0.4848 0.7463
39 O 0.9425 0.7858 0.7733

The 10 most intense peaks (2θ from 15° to 90°), most intense first:
d/Å, Position (°2θ), I (rel.)
3.053, 29.3, 100
2.499, 35.9, 27
2.163, 41.8, 22
2.153, 42.0, 16
1.529, 60.5, 14
2.400, 37.5, 13
3.437, 25.9, 11
4.306, 20.6, 11
2.692, 33.3, 11
1.443, 64.6, 9

=====

No. 3
Simulated powder X-ray diffraction pattern of LaAlB12 for Cu Kα (weighted mean of Kα1 and Kα2), from a cell relaxed with GGA-PBE.
No peak broadening, texture or thermal motion is included.

Structure:
Unit cell a=4.1702 b=4.1702 c=8.3718 alpha=90.00 beta=90.00 gamma=90.00
Fractional positions:
1 La 0.0000 0.0000 0.0000
2 Al 0.0000 0.0000 0.5000
3 B 0.2017 0.5000 0.2481
4 B 0.2017 0.5000 0.7519
5 B 0.5000 0.2017 0.2481
6 B 0.5000 0.2017 0.7519
7 B 0.5000 0.5000 0.0996
8 B 0.5000 0.5000 0.3984
9 B 0.5000 0.5000 0.6016
10 B 0.5000 0.5000 0.9004
11 B 0.5000 0.7983 0.2481
+++
Lesson1 Body language Respect Handshake Bow
Lesson1 Body language Respect Wave hand & smile smile Suggestion on the text: Shoud not stand too close to him/her, should stand with your hands a little open
Lesson2 Some body language is similar in most countries. Can you give any example?
Lesson2 happy angry fear worry “Loses face” Smile: An universial facial expression it is intended to put people at ease.
Action Feeling/meaning anger agreement protect yourself be interested in sb. Frown and turn back to sb. Close your hand and shake it at someone Nodding the head Look away or yawn Hold your arms across your chest Looking at and turn toward Roll your eyes and turn your head away. threatening sb. be not interested in do not believe or not like something
Some body language is similar in most countries. As one coin has two sides Some body language is in different countries. different
Lesson 3 Some body language is different in different countries. Can you give any example?
Lesson 3 gesturecountrymeaning look directly at some one Asia & South Amercia North America not good behaviour unpolite respect honest
gesturecountrymeaning Thumbs-up the US Nigeria Germany Japan great or good job rude the number one
gesturecountrymeaning Japan Zero Brazil Germany making a circle with one’s thumb and index finger OK most countries Money France Rude
Lesson 3 Summary: Some body language is different in different countries. When in Rome, do as Romes do. (入 乡 随 俗)
Task1 Finish the “True or false” Try to use your body language to show your answer,if you are right,you may get If you are wrong, you will get
Task1 1. Body language is less important than spoken language. sometimes more 2. If you are angry at a person, you might turn your back to him or her.
Task1 3. You can threaten a person by frowning. You do not threaten a person by frowning. You threaten a person by physical action.
Task1 4. If you stand with your arms across your body, you are always protecting yourself from being physically attacked. You may be protecting yourself from a conversation you do not want, or you may be showing that you do not agree with someone.
Task1 5. If you sit looking away from a person, or with your back turned, you are saying you are not interested in that person. 6. You should not greet your new boss by giving her or him a hug.
Task1 7. Body language is the same all over the world. Body language is sometimes the same, but it is sometimes quite different. 8. Body language can help us understand each other but sometimes we can also misunderstand others.
Task 2 After you learned about body language from our school: Why body lanuage is so important in our daily life? Can you suggest some jobs in which using body language is very important?
Task2 ploiceman model
Task2 judgment finger language teacher
Task2 comedianattendant
Body Language School